Why Your Sheet Pan Dinner Ingredients Should All Be The Same Size

Following a sheet pan dinner recipe is a minimally fussy, one-pan method to get dinner on the table by just using the oven. But what begins as a convenient way to cook a meal of protein and vegetables at the same time can quickly turn into a logistical nightmare, particularly if your ingredients are not the same size. Cut your vegetables unevenly and you'll be tossing the ingredients around in the pan midway, wondering why half are browned and shriveling up and the other half haven't even softened yet.

### Here the piece breaks off for data records
-- begin --
The following is a PBE-GGA calculation of an optimized crystal structure of Ag5Pb3Cl12, from Alexandria.

Geometry as POSCAR:
```
Ag5Pb3Cl12
1.0
14.172 0.000 0.000
-4.724 13.361 0.000
-4.724 -6.681 11.571
Ag Cl Pb
20 48 12
Direct
0.250 0.375 0.625
0.000 0.000 0.000
0.000 0.500 0.500
0.125 0.750 0.375
0.500 0.000 0.000
0.625 0.875 0.250
0.750 0.125 0.875
0.125 0.375 0.250
0.500 0.500 0.000
0.750 0.625 0.375
0.000 0.000 0.500
0.875 0.625 0.750
0.375 0.125 0.750
0.250 0.875 0.125
0.000 0.500 0.000
0.500 0.000 0.500
0.625 0.750 0.875
0.875 0.250 0.625
0.375 0.250 0.125
0.500 0.500 0.500
0.128 0.413 0.087
0.716 0.587 0.174
0.959 0.372 0.284
0.041 0.413 0.826
0.128 0.716 0.541
0.041 0.628 0.716
0.284 0.872 0.959
0.913 0.826 0.784
0.872 0.587 0.913
0.326 0.541 0.413
0.413 0.128 0.587
0.413 0.041 0.326
0.959 0.587 0.174
0.913 0.826 0.541
0.216 0.541 0.628
0.174 0.087 0.959
0.459 0.674 0.087
0.826 0.913 0.284
0.587 0.716 0.674
0.087 0.174 0.216
0.413 0.372 0.587
0.372 0.413 0.087
0.372 0.959 0.784
0.784 0.326 0.913
0.216 0.674 0.087
0.087 0.913 0.372
0.913 0.087 0.628
0.541 0.326 0.913
0.784 0.459 0.372
0.716 0.128 0.041
0.087 0.913 0.128
0.587 0.872 0.413
0.587 0.959 0.674
0.628 0.041 0.216
0.541 0.216 0.128
0.674 0.216 0.587
0.628 0.587 0.913
0.174 0.087 0.716
0.587 0.628 0.413
0.459 0.784 0.872
0.913 0.087 0.872
0.087 0.174 0.459
0.872 0.284 0.459
0.284 0.413 0.826
0.826 0.913 0.041
0.326 0.784 0.413
0.413 0.284 0.326
0.674 0.459 0.587
0.750 0.875 0.625
0.250 0.625 0.875
0.125 0.250 0.875
0.125 0.875 0.750
0.375 0.750 0.625
0.750 0.375 0.125
0.625 0.375 0.750
0.875 0.125 0.250
0.375 0.625 0.250
0.250 0.125 0.375
0.875 0.750 0.125
0.625 0.250 0.375
```

Properties
- Raw formation energy: -0.73 eV/atom
- Calculated total energy: -3.105 eV per atom
- SG: Ia-3d, No. 230
- Fermi-level density of states: 67.111 states/eV/cell

The following is a PBE-GGA calculation of an optimized crystal structure of Ag3PbCl4, from Alexandria.

Geometry as POSCAR:
```
Ag3PbCl4
1.0
5.945 0.000 0.000
0.000 5.945 0.000
-2.973 -2.973 5.650
Cl Ag Pb
4 3 1
Direct
0.738 0.738 0.476
0.000 0.500 0.000
0.262 0.262 0.524
0.500 0.000 0.000
0.250 0.750 0.500
0.750 0.250 0.500
0.500 0.500 0.000
0.000 0.000 0.000
```

Properties
- Raw formation energy: -0.37 eV/atom
- Calculated total energy: -2.829 eV per atom
- SG: I4/mmm, No. 139
- Fermi-level density of states: 3.600 states/eV/cell

The following is a PBE-GGA calculation of an optimized crystal structure of Ag3PbCl9, from Alexandria.

Geometry as POSCAR:
```
Ag3PbCl9
1.0
0.699 6.206 3.567
6.203 -0.562 7.014
9.311 6.893 -6.566
Cl Ag Pb
18 6 2
Direct
0.368 0.952 0.359
0.978 0.835 0.271
0.267 0.188 0.514
0.585 0.419 0.607
0.825 0.031 0.629
0.497 0.085 0.882
0.321 0.452 0.859
0.515 0.531 0.129
0.066 0.312 0.168
0.536 0.585 0.382
0.873 0.108 0.016
0.690 0.200 0.346
0.915 0.335 0.771
0.388 0.919 0.107
0.002 0.608 0.516
0.030 0.688 0.014
0.454 0.812 0.668
0.764 0.700 0.846
0.698 0.574 0.713
0.564 0.243 0.743
0.798 0.903 0.942
-- stop --

Since you're dealing with multiple ingredients in one pan, it's best to make your life easier by slicing and chopping each one to a similar size. Then your ingredients will have a similar cooktime and have the best chance of roasting evenly. Not only will this help your ingredients come out with a nice even roast, but it'll also make your sheet pan dinner look uniform and all the more appetizing.

Be mindful of your ingredients' cook time

If you're working with different kinds of vegetables like potatoes, broccoli, and red onion, you may wonder how you can cut those different vegetables evenly and get them to finish cooking at the same time. The reality is that harder, denser vegetables like potatoes will take longer to cook than more delicate red onions. So just make sure all of your potatoes are cut the same size, as well as your red onion, broccoli, peppers, and whatever other vegetables you're using. As long as each ingredient is uniform on its own, you'll make sure it's roasting evenly in the appropriate amount of time.

Since these ingredients have differing cook times, you'll have to stagger when you add each ingredient to your sheet pan and get it cooked in the oven for optimal results. Using the aforementioned list of ingredients as an example, let's start with the potatoes. Potatoes can take about 25-35 minutes to cook in an oven at 400 degrees Fahrenheit, while broccoli will only take 10-15 minutes. The red onion slices, depending on thickness, will fall somewhere in the middle at about 20 minutes. So here, you would briefly take your sheet pan out of the oven and add those red onions once about 10 minutes have passed with the potatoes, and then do the same for your broccoli approximately 10 minutes later. Cutting ingredients unevenly and ignoring different ingredient cooktimes are just some of the many common baking sheet mistakes you'll want to avoid.

Overcrowding: Another enemy of even roasting

When you start to make a sheet pan dinner, the pan can become crowded very easily. You know that vegetables shrink when cooked, so you start piling those potatoes on there and realize you won't have much room for the broccoli and onions later. Not to mention, if your potatoes don't have space between them, the air won't be able to circulate. This is another surefire mistake that'll result in steaming your veggies instead of roasting them evenly on all sides.

One way to solve this issue is to use separate sheet pans for each ingredient. Not only does this ensure that they have enough space to get crisp, golden-brown edges on every side, but it also removes the hassle of taking out your sheet pan in the middle of roasting to add the next ingredient. As long as your ingredients are cut uniformly to about the same size and you follow these tips, you'll be on your way to a beautifully roasted, presentable sheet pan dinner.